_Data_
~~~
# PBE NaLiTh, relaxed
# Crystal system   monoclinic
# Formation energy from the elements   1.30 eV per formula unit
data_NaLiTh
_chemical_formula_sum 'Na4 Li4 Th4'
_cell_length_a 9.129
_cell_length_b 5.330
_cell_length_c 7.088
_cell_angle_alpha 90.00
_cell_angle_beta 91.17
_cell_angle_gamma 90.00
_space_group_name_H-M_alt 'P 1'
_space_group_IT_number 1
_space_group_name_Hall 'P 1'
loop_
_atom_site_label
_atom_site_fract_x
_atom_site_fract_y
_atom_site_fract_z
_atom_site_occupancy
Na1 0.002 0.000 0.285 1
Na2 0.498 0.500 0.715 1
Na3 0.502 0.500 0.285 1
Na4 0.998 0.000 0.715 1
Li1 0.168 0.500 0.394 1
Li2 0.332 0.000 0.606 1
Li3 0.668 0.000 0.394 1
Li4 0.832 0.500 0.606 1
Th1 0.166 0.500 0.925 1
Th2 0.334 0.000 0.075 1
Th3 0.666 0.000 0.925 1
Th4 0.834 0.500 0.075 1

---

# PBE Y2TlBF, relaxed
# Formation energy (no corrections)   -8.401 kcal/mol of atoms
# Crystal system   tetragonal
data_Y2TlBF
_chemical_formula_sum 'Y2 Tl1 B1 F1'
_cell_length_a 5.118
_cell_length_b 5.118
_cell_length_c 4.336
_cell_angle_alpha 90.00
_cell_angle_beta 90.00
_cell_angle_gamma 90.00
_space_group_name_H-M_alt 'P 1'
_space_group_IT_number 1
_space_group_name_Hall 'P 1'
loop_
_atom_site_label
_atom_site_fract_x
_atom_site_fract_y
_atom_site_fract_z
_atom_site_occupancy
Y1 0.000 0.500 0.000 1
Y2 0.500 0.000 0.000 1
Tl1 0.000 0.000 0.500 1
~~~
_What to do_
Please repeat the data above from the line with "_cell_length_a 9.129" to the end verbatim.
_Result_
_cell_length_a 9.129
_cell_length_b 5.330
_cell_length_c 7.088
_cell_angle_alpha 90.00
_cell_angle_beta 91.17
_cell_angle_gamma 90.00
_space_group_name_H-M_alt 'P 1'
_space_group_IT_number 1
_space_group_name_Hall 'P 1'
loop_
_atom_site_label
_atom_site_fract_x
_atom_site_fract_y
_atom_site_fract_z
_atom_site_occupancy
Na1 0.002 0.000 0.285 1
Na2 0.498 0.500 0.715 1
Na3 0.502 0.500 0.285 1
Na4 0.998 0.000 0.715 1
Li1 0.168 0.500 0.394 1
Li2 0.332 0.000 0.606 1
Li3 0.668 0.000 0.394 1
Li4 0.832 0.500 0.606 1
Th1 0.166 0.500 0.925 1
Th2 0.334 0.000 0.075 1
Th3 0.666 0.000 0.925 1
Th4 0.834 0.500 0.075 1

---

# PBE Y2TlBF, relaxed
# Formation energy (no corrections)   -8.401 kcal/mol of atoms
# Crystal system   tetragonal
data_Y2TlBF
_chemical_formula_sum 'Y2 Tl1 B1 F1'
_cell_length_a 5.118
_cell_length_b 5.118
_cell_length_c 4.336
_cell_angle_alpha 90.00
_cell_angle_beta 90.00
_cell_angle_gamma 90.00
_space_group_name_H-M_alt 'P 1'
_space_group_IT_number 1
_space_group_name_Hall 'P 1'
loop_
_atom_site_label
_atom_site_fract_x
_atom_site_fract_y
_atom_site_fract_z
_atom_site_occupancy
Y1 0.000 0.500 0.000 1
Y2 0.500 0.000 0.000 1
Tl1 0.000 0.000 0.500 1